-- Entries --
=====
(1)
Simulated PXRD pattern
Compound: Pm2Hg2Pd5
Radiation: λ = 1.5418 Å (Cu Kα)
Structure: a structure optimized by DFT (GGA-PBE)
Peak positions follow from Bragg's law for the DFT cell and can differ from measured ones.

Crystal structure
```
data_Pm2Hg2Pd5
_cell_length_a 9.758
_cell_length_b 9.758
_cell_length_c 9.758
_cell_angle_alpha 64.40
_cell_angle_beta 149.39
_cell_angle_gamma 124.85
_space_group_name_H-M_alt 'P 1'
_space_group_IT_number 1
loop_
_space_group_symop_operation_xyz
'x,y,z'
loop_
_atom_site_label
_atom_site_fract_x
_atom_site_fract_y
_atom_site_fract_z
Pm1 0.184 0.127 0.311
Pm2 0.184 0.373 0.557
Pm3 0.816 0.627 0.443
Pm4 0.816 0.873 0.689
Hg1 0.256 0.689 0.067
Hg2 0.623 0.189 0.933
Hg3 0.707 0.207 0.500
Hg4 0.707 0.707 0.000
Pd1 0.004 0.992 0.512
Pd2 0.239 0.493 0.860
Pd3 0.239 0.879 0.246
Pd4 0.480 0.492 0.488
Pd5 0.490 0.037 0.138
Pd6 0.490 0.853 0.953
Pd7 0.632 0.379 0.140
Pd8 0.632 0.993 0.754
Pd9 0.900 0.353 0.862
Pd10 0.900 0.537 0.047
```

Principal peaks in the range 10° ≤ 2θ ≤ 90°, by angle:
| 2θ/deg | d (Å) | I_rel |
| --- | --- | --- |
| 19.8 | 4.474 | 15 |
| 22.6 | 3.934 | 19 |
| 29.3 | 3.047 | 15 |
| 29.4 | 3.034 | 20 |
| 30.9 | 2.890 | 26 |
| 34.5 | 2.600 | 14 |
| 34.8 | 2.575 | 16 |
| 36.7 | 2.449 | 22 |
| 38.0 | 2.368 | 100 |
| 38.3 | 2.350 | 27 |
| 39.9 | 2.258 | 32 |
| 44.1 | 2.052 | 21 |


(2)
Simulated PXRD pattern
Compound: PrTcP2Os
Radiation: λ = 1.5418 Å (Cu Kα)
Structure: a structure optimized by DFT (GGA-PBE)
Peak positions follow from Bragg's law for the DFT cell and can differ from measured ones.

Crystal structure
```
data_PrTcP2Os
_cell_length_a 4.155
_cell_length_b 4.155
_cell_length_c 10.018
_cell_angle_alpha 90.00
_cell_angle_beta 90.00
_cell_angle_gamma 90.00
_space_group_name_H-M_alt 'P 1'
_space_group_IT_number 1
loop_
_space_group_symop_operation_xyz
'x,y,z'
loop_
_atom_site_label
_atom_site_fract_x
_atom_site_fract_y
_atom_site_fract_z
Pr1 0.000 0.000 0.000
Pr2 0.500 0.500 0.500
Tc1 0.000 0.500 0.250
Tc2 0.500 0.000 0.750
P1 0.000 0.000 0.362
P2 0.000 0.000 0.638
P3 0.500 0.500 0.138
P4 0.500 0.500 0.862
Os1 0.000 0.500 0.750
Os2 0.500 0.000 0.250
```

Principal peaks in the range 10° ≤ 2θ ≤ 90°, by angle:
| 2θ/deg | d (Å) | I_rel |
| --- | --- | --- |
| 17.7 | 5.009 | 19 |
| 23.2 | 3.838 | 28 |
| 34.5 | 2.603 | 28 |
| 35.4 | 2.534 | 100 |
| 35.9 | 2.505 | 19 |
| 43.6 | 2.077 | 38 |
| 47.7 | 1.906 | 10 |
| 56.7 | 1.624 | 13 |
| 57.7 | 1.599 | 20 |
| 63.3 | 1.469 | 12 |
| 64.2 | 1.452 | 21 |
| 74.7 | 1.271 | 23 |


(3)
Simulated PXRD pattern
Compound: RbMgPb
Radiation: λ = 1.5418 Å (Cu Kα)
Structure: a structure optimized by DFT (GGA-PBE)
Peak positions follow from Bragg's law for the DFT cell and can differ from measured ones.

Crystal structure
```
data_RbMgPb
_cell_length_a 5.113
_cell_length_b 5.293
_cell_length_c 11.780
_cell_angle_alpha 82.61
_cell_angle_beta 77.86
_cell_angle_gamma 61.20
_space_group_name_H-M_alt 'P 1'
_space_group_IT_number 1
loop_
_space_group_symop_operation_xyz
'x,y,z'
loop_
_atom_site_label
_atom_site_fract_x
_atom_site_fract_y
_atom_site_fract_z
Rb1 0.248 0.198 0.315
Rb2 0.752 0.802 0.685
Mg1 0.306 0.465 0.922
Mg2 0.694 0.535 0.078
Pb1 0.005 0.866 0.129
Pb2 0.995 0.134 0.871
```

Principal peaks in the range 10° ≤ 2θ ≤ 90°, by angle:
| 2θ/deg | d (Å) | I_rel |
| --- | --- | --- |
| 19.1 | 4.636 | 27 |
| 20.1 | 4.407 | 100 |
| 22.8 | 3.905 | 40 |
| 22.9 | 3.882 | 37 |
| 24.3 | 3.668 | 26 |
| 25.0 | 3.555 | 51 |
| 30.7 | 2.911 | 21 |
| 31.1 | 2.878 | 22 |
| 34.0 | 2.637 | 63 |
| 34.2 | 2.624 | 28 |
| 35.1 | 2.556 | 33 |
=====

-- Exercise --
Please set down the whole of the contents earlier on unchanged.

-- Reply --
(1)
Simulated PXRD pattern
Compound: Pm2Hg2Pd5
Radiation: λ = 1.5418 Å (Cu Kα)
Structure: a structure optimized by DFT (GGA-PBE)
Peak positions follow from Bragg's law for the DFT cell and can differ from measured ones.

Crystal structure
```
data_Pm2Hg2Pd5
_cell_length_a 9.758
_cell_length_b 9.758
_cell_length_c 9.758
_cell_angle_alpha 64.40
_cell_angle_beta 149.39
_cell_angle_gamma 124.85
_space_group_name_H-M_alt 'P 1'
_space_group_IT_number 1
loop_
_space_group_symop_operation_xyz
'x,y,z'
loop_
_atom_site_label
_atom_site_fract_x
_atom_site_fract_y
_atom_site_fract_z
Pm1 0.184 0.127 0.311
Pm2 0.184 0.373 0.557
Pm3 0.816 0.627 0.443
Pm4 0.816 0.873 0.689
Hg1 0.256 0.689 0.067
Hg2 0.623 0.189 0.933
Hg3 0.707 0.207 0.500
Hg4 0.707 0.707 0.000
Pd1 0.004 0.992 0.512
Pd2 0.239 0.493 0.860
Pd3 0.239 0.879 0.246
Pd4 0.480 0.492 0.488
Pd5 0.490 0.037 0.138
Pd6 0.490 0.853 0.953
Pd7 0.632 0.379 0.140
Pd8 0.632 0.993 0.754
Pd9 0.900 0.353 0.862
Pd10 0.900 0.537 0.047
```

Principal peaks in the range 10° ≤ 2θ ≤ 90°, by angle:
| 2θ/deg | d (Å) | I_rel |
| --- | --- | --- |
| 19.8 | 4.474 | 15 |
| 22.6 | 3.934 | 19 |
| 29.3 | 3.047 | 15 |
| 29.4 | 3.034 | 20 |
| 30.9 | 2.890 | 26 |
| 34.5 | 2.600 | 14 |
| 34.8 | 2.575 | 16 |
| 36.7 | 2.449 | 22 |
| 38.0 | 2.368 | 100 |
| 38.3 | 2.350 | 27 |
| 39.9 | 2.258 | 32 |
| 44.1 | 2.052 | 21 |


(2)
Simulated PXRD pattern
Compound: PrTcP2Os
Radiation: λ = 1.5418 Å (Cu Kα)
Structure: a structure optimized by DFT (GGA-PBE)
Peak positions follow from Bragg's law for the DFT cell and can differ from measured ones.

Crystal structure
```
data_PrTcP2Os
_cell_length_a 4.155
_cell_length_b 4.155
_cell_length_c 10.018
_cell_angle_alpha 90.00
_cell_angle_beta 90.00
_cell_angle_gamma 90.00
_space_group_name_H-M_alt 'P 1'
_space_group_IT_number 1
loop_
_space_group_symop_operation_xyz
'x,y,z'
loop_
_atom_site_label
_atom_site_fract_x
_atom_site_fract_y
_atom_site_fract_z
Pr1 0.000 0.000 0.000
Pr2 0.500 0.500 0.500
Tc1 0.000 0.500 0.250
Tc2 0.500 0.000 0.750
P1 0.000 0.000 0.362
P2 0.000 0.000 0.638
P3 0.500 0.500 0.138
P4 0.500 0.500 0.862
Os1 0.000 0.500 0.750
Os2 0.500 0.000 0.250
```

Principal peaks in the range 10° ≤ 2θ ≤ 90°, by angle:
| 2θ/deg | d (Å) | I_rel |
| --- | --- | --- |
| 17.7 | 5.009 | 19 |
| 23.2 | 3.838 | 28 |
| 34.5 | 2.603 | 28 |
| 35.4 | 2.534 | 100 |
| 35.9 | 2.505 | 19 |
| 43.6 | 2.077 | 38 |
| 47.7 | 1.906 | 10 |
| 56.7 | 1.624 | 13 |
| 57.7 | 1.599 | 20 |
| 63.3 | 1.469 | 12 |
| 64.2 | 1.452 | 21 |
| 74.7 | 1.271 | 23 |


(3)
Simulated PXRD pattern
Compound: RbMgPb
Radiation: λ = 1.5418 Å (Cu Kα)
Structure: a structure optimized by DFT (GGA-PBE)
Peak positions follow from Bragg's law for the DFT cell and can differ from measured ones.

Crystal structure
```
data_RbMgPb
_cell_length_a 5.113
_cell_length_b 5.293
_cell_length_c 11.780
_cell_angle_alpha 82.61
_cell_angle_beta 77.86
_cell_angle_gamma 61.20
_space_group_name_H-M_alt 'P 1'
_space_group_IT_number 1
loop_
_space_group_symop_operation_xyz
'x,y,z'
loop_
_atom_site_label
_atom_site_fract_x
_atom_site_fract_y
_atom_site_fract_z
Rb1 0.248 0.198 0.315
Rb2 0.752 0.802 0.685
Mg1 0.306 0.465 0.922
Mg2 0.694 0.535 0.078
Pb1 0.005 0.866 0.129
Pb2 0.995 0.134 0.871
```

Principal peaks in the range 10° ≤ 2θ ≤ 90°, by angle:
| 2θ/deg | d (Å) | I_rel |
| --- | --- | --- |
| 19.1 | 4.636 | 27 |
| 20.1 | 4.407 | 100 |
| 22.8 | 3.905 | 40 |
| 22.9 | 3.882 | 37 |
| 24.3 | 3.668 | 26 |
| 25.0 | 3.555 | 51 |
| 30.7 | 2.911 | 21 |
| 31.1 | 2.878 | 22 |
| 34.0 | 2.637 | 63 |
| 34.2 | 2.624 | 28 |
| 35.1 | 2.556 | 33 |